How To Put The Subconscious Mind To Work
How To Give Treatments - Continued

The Chronic Invalid
The chronic invalid is not only treated for immediate relief from pain or mental disturbance but for complete restoration
to health and such a patient may require as you would naturally expect, systematic and educational treating to break the old
sick habits so that the health habits may be firmly established and grounded. One of the most successful healers I know, says:
As a rule, I do not treat patients for any special thing, but rather treat them for perfect health and harmony, because it
is difficult, many times, to diagnose a person's disease and locate exactly the physical organ that is out of harmony with
the rest of the body. Less than ten per cent of the practicing physicians are always right in their diagnosis of a patient's
trouble and that is one reason why so many of them fail to "make good" in their profession.
Another Method of Healing No. 19
Another mode of healing used by some practitioners is first to have the patient tell the healer what are the symptoms or what
seems to be the matter ? Then to have the patient sit in a reclining position in a morris chair or rocker tilted back, relax,
close the eyes, remain quiet and let the mind drift indifferently.
You will notice this differs from some other methods. While some require the patient to think with the operator and others
want the patient to be relaxed and think of nothing, there are those who suggest to the patient that he let the mind go as
it pleases and then again to become absolutely indifferent to what the mind does.
Then in a few minutes, say three or five minutes, the operator gives audibly in a low tone of voice suggestions pertaining
to the cure of the particular disease or symptom saying that the symptoms are disappearing and they will disappear, that they
are becoming less and less noticeable or gradually leaving, leaving, leaving.
My own opinion is that, before the patient is dismissed, such an affirmation should be followed by strong positive suggestions
for a decided improvement. I believe the very best way is to make suggestions that the body is well, whole and complete, harmonious,
strong and normal in all functionings.
Then again it is well after the suggestions for healing have been given, to sit silently by the patient, thus telepathically
continuing the treatment free from audible vibrations. Some healers have great power this way and many sensitive people receive
healing treatment with more force given in this manner.
If this kind of a treatment is given, the audible suggestions should probably be repeated three or four times during the half
hour's treatment, each one followed by a silent treatment. If not each one, then at least the last.
The same method with suitable affirmation may be used to demonstrate success, prosperity or anything one desires.
Personal Magnetism
It has long been recognized that there is an out- going, subtle force from each individual, and this out-going force will
be of course strong in any one who has developed the power of healing.
Jesus and his disciples recognized this. Christ said, "I perceive that virtue is gone out of me."
At another time he said, "Come ye yourselves apart into a desert place and rest awhile." This indicates that in the impact
of one individuality upon another through the agency of physical touch, some force or power leaves the healer, which has a
tendency to deplete his vitality.
Healer Taking On Conditions of the Patient
We all know the dragging effect of certain personalities and if the fluidic radiations of the body could always be seen it
would not be so difficult to understand why this occurs. There are, unfortunately, human vampires, unconscious though they
be, and very little is to be gained in permitting an absorption of one's energies by such sponges. It is all very well to
claim an inexhaustible supply of strength, but we have not yet arrived at the point where this can be wholly demonstrated,
and it is therefore necessary, especially in giving magnetic treatment, to observe some precautions and use it with care.
Or as Thomson Jay Hudson says:
Some healers fancy that "they take on the conditions of the patient," as they phrase it. That is, they feel the symptoms which
afflict the patient. There is no question but that those who enter upon the treatment of a case with that idea firmly fixed
in mind will experience the anticipated sensations, often to a marked degree. But late scientific experiments disclose the
fact that such phenomena are always the effect of suggestion. The physical exhaustion which some healers feel after the treatment
of a case is also largely due to suggestion. These effects may always be counteracted by a vigorous autosuggestion; and, moreover,
the same means may be effectively employed to produce exactly the opposite effects upon the operator. That is to say, the
mental healer, by whatever method he does his work, may always cause his treatment of a patient to redound to his own benefit,
as well as to that of the patient, by the exercise of the power of autosuggestion.
You may be so happy in your healing as to want to go out and tell others about the joy you have and so do your bit in healing
others. You may follow any one of the methods which we have outlined in this series. You may be of great service to some other
sufferer, perhaps heal him, and then feel a strange sensation yourself. In fact, you may take, for the time being, the very
conditions and pains of the person you have helped. Sensitive and sympathetic practitioners sometimes temporarily suffer thus,
but remember there is no danger that you will take on the condition of another, UNLESS YOU THINK SO.
You may have the identical pain, you may act as a human magnet and draw from the patient the precise pain into the same organ,
in which the patients' distress is located, but remember this is only temporary, unless you become frightened and allow your
fears to take possession of the sub- conscious. Then you may get sick, but let me repeat, there is no danger if, when you
take on the condition of the patient, you instantly take a health affirmation.
Healer, A Human Magnet
The healer very often feels the identical pain in the same region or organ of his own body as that of the one whom he is treating.
The more sensitive and the more intuitive the healer the more is he prone to take on the conditions of the patient he is treating.
He acts as a human magnet, he actually extracts and draws from the patient the pains his subject is experiencing.
Not only is the healer a magnet drawing the actual pains from the patient, but the patient who is throwing off the thing he
does not want is, in turn, drawing strength, energy, vital force and power from the healer.
Nevertheless, a positive affirmation, a positive healer and positive formulae prevent much of this taking-on-the-condition-of-the-patient.
Therefore, if the healer is positive in all of his statements, formulae, thinking and practice, he will save himself many
an unpleasant experience.
Suppose the practitioner does feel the same pains as the patient, there is nothing to fear if the healer dismisses the thought
at once. If the healer allows his subconscious mind to cling to the thought pains which he has extracted from the patient,
he may, indeed bring those conditions into his life, but by taking instantly such a thought as this, "I cleanse myself from
all negative thoughts. I am and I know I am and nothing is greater than I am" he is using a positive antidote so that the
sick conditions of the patient will not remain in his consciousness.
This affirmation, "I cleanse myself from all negative thoughts. I am and I know I am and nothing is greater than I am" should
also be accompanied by a physical suggestion such as placing the right hand on the left breast and making a gesture with the
extended arm as though throwing away from the body something that may cling to it. This gesture may be taken two or three
times as the affirmation is repeated. Then place the left hand upon the right breast and with the same full arm gesture as
though throwing or expelling something from the body, take again the same affirmation with the same gesture. This having been
done, there is no danger of the healer's taking on the permanent pains of the patient.
This personal fluid, or human electricity, or vital force, whatever we may call it, is put to excellent use by some successful
healers, as "Magnetic Treatment."
Method of Healing No. 21
If one has a vivid imagination, or is a good visualizer, he may use the method which has equipped some healers with additional
force. This is effected by adding to their verbal or silent treatment, a mental picture or image of the thought currents actually
leaving their minds, traveling toward the patient, and then enveloping and surrounding him.
In giving a mental treatment, remember that no two patients are of equal receptivity. One patient will be able to take a simple
statement from you that his pain will cease from this hour, and it actually will. Another will be required to sit down, or
lie down in a reclining position, have his forehead stroked, work out his vasomotor nerves and explain that you are doing
this to help his nervous vibrations and treat his heart and liver and stomach, and this will quiet him and he will take the
suggestion. In other words, you have to rub the suggestion in.
A most helpful method of healing, both for healer and patient, is for the healer, just before he goes to sleep, to take up
his patients, one by one, or collectively, get a mental image of each or all, and send them such messages of health, comfort
and good cheer as they need.
Many healers will find, unless they have set their mind not to drop to sleep before finishing the list, that they will go
to sleep while sending messages to others. But the Subconscious Mind, which is all wise and has perfect memory, will, as you
drop to sleep, continue sending the messages. Such a habit will react in inestimable good to the percipient--sender--as well
as to the recipients.
Keep It Up
KEEP-AT-IT-IVENESS, persistence in suggestion and auto-suggestion, is the one big thing to bear in mind. Many will succeed
where others fail, because some will keep at it while others give up. Stick to your healing treatments!
In the second place mental conditions differ. Some will find that their subconscious minds respond more readily than others,
who will have to exercise more patience and be more persistent in their efforts.
Third, some types are more highly sensitive than others. Mental telepathy, or spiritual communication, can be exercised by
some people without any previous training. Some get the impressions more readily than others, all however, can reach a high
degree of efficiency in helping others, curing themselves, etc., if they will yield obedience to the laws of physical and
mental hygiene and keep forever at it.
There is still a fourth thing to bear in mind, and that is, not to be discouraged or disheartened if you fail to get immediate
results from your treatments. As intimated, above, results are not infrequently long delayed but if you are faithful and persistent
they come at last. A great philosopher has said: "God does not always refuse when he delays. He loves persistence and grants
Remember the parable of the woman who repeated her request until finally it was granted because of her importunity. She got
what she wanted by hanging on. The successful healer must do likewise and the wise patient ditto.
If You Relapse
If you have relapses and set-backs in your progress toward health, do not let them dis- courage you or dishearten you. There
is a rhythmic swing in growth everywhere. This has been discovered by Professor Bose of the University of Calcutta in studying
the laws of growth in plants. He invented an instrument by which he could measure this growth which was wholly imperceptible
to the eye. He discovered that plants grow upward for five seconds, shrink downward for five seconds, remain stationary for
ten seconds, then start upward again and repeat the same round. But notice this great law: in shrinking downward the motion
is slower than in pushing upward. The five seconds of slipping backward or downward do not take the plant back as far as its
starting point, so that on the whole it gains in growth and stature. Then note, that the five seconds of shrinkage and the
ten seconds of remaining stationary, are as three to one to the upward push. Practically this amounts to three steps backward
as compared with one step forward. But in terms of growth the forward step outranks the three backward steps. So, in seeking
health, if your progress seems to be one of going forward, slipping backward, remaining stationary and then starting all over
again; going forward, and slipping backward and again remaining stationary, do not complain. You are getting ahead, you are
gaining ground.
All Growth Forward and Backward
It is therefore very important for everyone who is trying to apply these principles to understand that all progress and all
growth is forward a little, backward a little, then marking time; forward a little, backward a little, marking time. All progress
is vibratory and uneven.
The heights are reached only through a long series of "ups and downs."
To the careless observer, and to one who has not been trained to note that he is going forward a little, slipping back a little,
and staying where he is a little, it may appear that he is retrograding in conscious, physical growth instead of gaining ground.
He may think he is back at the starting point. Back in so far as outward signs indicate, but in reality he has gained.
I know of nothing the practitioner should so seriously impress upon the patient and the patient should bear in mind so sedulously
as this: that the law of growth is up a little, down a little, forward a little, back a little, then stationary.
And this will be true in development of higher consciousness as it is in the physical growth. You will feel Oh, so much better
today in mind and spirits and then, ah, me, how bad you feel tomorrow. Up in the mountain tops of ecstasy today, down in the
valley of the dumps tomorrow. But, decide not to stay dumped, and, if you continue to hold your thought or your affirmation,
you won't.
By continuing to hold your thought or affirmation, you are remaking yourself as surely as the plant grows to maturity, even
though in the process, it slips down in its upward climb. The better side of man is bound to triumph. The lower and false
self will fight like "all get out," with the desperation of demons, but will finally yield if the better self insists upon
claiming health, success and happiness.
# Misplaced data records
7
Properties=species:S:1:pos:R:3:forces:R:3 method="wB97M-V/def2-TZVPD" homo_energy_ev="-7.96 / -9.97" s2=2.013 fmax_ev_per_a=3.5 lumo_ev="0.186 / -3.877" energy_ha=-3024.23568 homo_lumo_gap_ev="8.148 / 6.092" e_above_lowest_kj_mol=0.00 multiplicity=3 charge=0
C 0.6221 -1.6594 -0.2507 -1.91 2.61 1.42
C 0.0888 -0.4221 0.1261 0.80 0.07 -3.19
O 0.6315 -2.7521 -0.5561 0.62 -1.35 -0.55
Br -2.2223 -0.8800 0.1093 -0.73 -0.01 -0.03
I 3.2166 -0.1588 -0.0893 0.73 0.30 0.01
H 0.1249 0.3371 -0.8146 -0.01 -1.67 2.73
H 0.0490 -0.1274 1.1718 0.50 0.05 -0.39

---

53
Properties=species:S:1:pos:R:3:forces:R:3 method="wB97M-V/def2-TZVPD" homo_energy_ev=-9.97 fmax_ev_per_a=8.8 lumo_ev=0.082 energy_ha=-4390.55400 homo_lumo_gap_ev=10.055 e_above_lowest_kj_mol=52.24 charge=0
Zn 7.5617 1.5218 29.4118 -1.47 0.81 0.57
N 9.2789 0.7060 29.4224 2.88 -3.02 -2.20
S 10.5253 0.8031 30.3474 4.51 4.73 5.83
O 11.4526 1.8952 30.0177 -1.94 -2.04 0.10
O 11.1426 -0.3923 30.8733 -1.01 0.21 -1.44
F 9.8031 1.3544 31.6660 -0.37 -0.09 -0.66
S 10.1037 -0.3811 28.3520 -1.91 -0.37 -4.62
O 9.8996 -1.7334 28.7174 0.07 0.11 0.32
O 11.3322 0.0721 27.7452 -1.31 -0.21 1.61
F 9.0666 -0.1688 27.1079 0.49 0.06 1.15
C 6.0490 4.9547 30.1858 0.42 0.61 0.83
C 6.5417 3.5185 30.3439 0.35 2.01 -1.32
O 5.7964 2.5770 29.9899 -0.35 -0.67 -0.05
O 7.7825 3.3879 30.5033 -0.04 -0.94 0.29
H 5.5780 5.3955 31.0657 -0.44 -0.44 0.04
H 5.4138 5.0866 29.3116 -0.11 -0.24 0.13
H 6.9293 5.5905 30.0886 0.07 -0.14 -0.30
C 4.0231 1.3731 27.4595 -1.08 -0.26 0.58
O 4.3660 -0.0270 27.5563 -1.19 -0.39 -0.36
C 5.5452 -0.4237 27.9446 0.43 1.85 1.37
O 6.4620 0.3882 28.0906 -0.51 -1.68 -0.61
O 5.5968 -1.6945 28.2779 2.36 0.55 0.34
C 4.4509 -2.4771 28.4052 -1.38 -0.81 -0.77
H 3.9822 1.8603 28.4342 1.32 0.01 0.06
H 2.9459 1.3543 27.2883 0.15 -0.16 -0.99
H 4.6015 1.8653 26.6844 -0.09 0.11 0.27
H 3.9990 -2.4860 27.4127 -0.79 0.06 0.39
H 3.8216 -2.1448 29.2307 -0.23 0.36 -0.36
H 4.6641 -3.5230 28.6235 0.88 0.24 0.04
C 8.3373 -1.6922 32.1676 0.66 -0.40 -1.08
O 6.9886 -1.4481 32.5328 -0.45 0.44 0.24
C 6.3016 -0.5636 31.8539 0.20 0.57 -1.17
O 6.7226 0.1754 30.9699 -0.31 -0.85 0.92
O 5.0396 -0.6469 32.2317 -0.87 -0.22 0.65
C 4.0601 0.1612 31.5897 0.44 0.69 -2.04
H 8.5579 -1.4595 31.1249 -0.45 0.14 -0.07
H 8.3981 -2.7772 32.2325 0.64 0.16 0.50
H 9.0521 -1.0964 32.7323 -0.20 -0.36 0.47
H 3.9675 -0.1111 30.5332 0.22 -0.49 -0.11
H 4.4040 1.1888 31.4668 -0.18 0.15 0.74
H 3.0415 0.0396 31.9492 0.50 -0.08 0.95
C 10.2539 3.9850 28.0568 0.47 0.06 1.48
O 9.4507 4.1614 26.9135 -1.42 -0.27 -1.62
C 8.2943 3.4756 26.7940 1.97 -0.12 2.16
O 7.8481 2.8102 27.7323 -0.32 0.63 -2.12
O 7.8324 3.6555 25.5773 0.16 -0.13 -0.38
C 6.6577 2.9834 25.1487 -1.03 -0.53 0.36
H 10.8852 4.8647 28.1776 -0.24 0.15 -0.31
H 10.9404 3.1414 27.9937 -0.38 -0.23 -0.28
H 9.6392 3.9036 28.9531 0.04 -0.15 -0.03
H 6.5048 2.0517 25.6936 0.05 0.22 0.39
H 6.6523 2.6719 24.1049 0.88 0.51 -0.11
H 5.8167 3.6665 25.2686 -0.08 -0.13 0.20

---

114
Remember then, our mental and spiritual growth also is up a little, down a little, ahead a little, back a little, stationary,
but meantime, very surely climbing upward. The better part of man prevails in the end. The better part of you is bound to
In a tug of war, there often comes a time when both sides are about "licked." It is sometimes only a matter of a little twitch
of muscle that swings the winning side into victory. That is the way with a man's mental, spiritual and physical development.
There is that conflict within the individual the conflict of the lower self with the better self. The tug of war Of the two
personalities within the individual is on. Especially is this felt and seen when the better self determines to assert for
health, for spiritual or mental development; when we are determined that we shall climb to the mountain tops of ecstasy and
remain there. At this time, one feels the tug of war more than ever before. The fight is on. The lower and false element in
man makes its last struggle to maintain the upper hand. It does not give way without a desperate struggle and this is felt
very appreciably by the person who is going upward.
So, when you feel that you are slipping back a little you are being given the best evidence in the world that you are making
progress. The Dunce does not know that he is a Dunce--sometimes. The cabbage-head does not know that it is a cabbage-head.
But when the better part of man begins to pull he soon catches the vibration that he is not what he ought to be; that he is
not where he should be; that he is not making the progress that he ought to make. May I repeat with all of the emphasis at
my command that when you feel you are not getting ahead the way you ought, the great struggle is on. The tug of war has reached
its climax. You are at the critical point of your experience. You are making progress because you feel that you are not. That's
the best evidence ever. Hang onto your thought a little longer, and the better side will surely win. The count is on your
side. Victory is yours.
When you feel that you're not going forward, that is the time you are actually making the greatest progress.
The purifying fire seems to burn us, but in reality it destroys only "the wood, hay, and stubble" which claim our selfhood.
With all its threatenings it only cleanses, polishes, and brings out in high relief, the beauty of the divine humanity. All
so-called evils and disorders are existent as conditions, but have no reality as entities. Conditions and educational experiences
serve their purpose and come to an end, but all true verities are eternal, because they are divine.
Whether it be a new experience for the subject or not, the organism within resents, at times, innovations or changes of habit.
Consequently the patient, although he has been healed of other troubles may experience a reaction from the first few treatments,
or he may get a reaction at the very start. But do not be discouraged, these symptoms are indicative of good. In fact, you
may now be better and then a little worse, again better and then a little worse, for a considerable time, but will gradually
improve until at last, if you are faithful, you will arrive. Be strong and of good courage, for the crown is to the victor.
Let your motto be "I can and I will."
The rise and fall of the effects of the treatments is with some types natural. It can be explained by the state of mind of
some people who are sick. It indicates merely a rebound from low mental and physical states. Protracted sickness, for instance,
is inclined to make some people depressed. Even when they get better gloominess may creep over them and the physical condition
being weak, one reaction may play upon the other. The patient should remember, however, that each little slump is going to
be followed by a higher rebound for health than before. In fact each ascent after each slump will actually be a little higher
and better than the one previous. If the patient understands this, there is no occasion for discouragement. Knowing this to
be the natural tendency, he can fortify himself against despair and raise his courage to the mount of transfiguration of health,
success, prosperity and achievement.
After Healing
Sometimes former patients will ask leave to come back occasionally to sit in the chair or be in the room where they have received
treatment. There seems to be holy associations in the room near the healer or around the healers, association which gives
added confidence to the one-time patient, for offering expressions of thanksgiving and gratitude and to go forward with a
positive assurance that everything is well for them in the future. That tomorrow holds nothing but success, health and happiness
for them.